-- Work order --
Next, print the notes below without additions.

-- Listing --
<<<
[1]
Formula: C4H5Br2O3S
Source: OMol25
Level of theory: wB97M-V/def2-TZVPD

XYZ file:
```
15
Properties=species:S:1:pos:R:3:lowdin_charge:R:1
C 1.10537 -1.12353 -2.04522 -0.6477
C -0.24143 0.27872 0.26253 -0.3099
C 0.45699 -0.61590 -0.53020 -0.5385
C -0.92836 1.61764 -0.05210 -0.0729
O 1.02538 -0.35862 2.50372 -0.4753
O -0.81370 1.20872 2.61884 -0.3421
O -1.34544 -1.15012 2.31559 -0.4006
S -0.38328 -0.03974 2.15323 0.3636
Br 0.98817 -2.23929 0.46246 0.7177
Br 0.64126 0.17588 -3.40410 0.5636
H 2.10177 -1.11216 -1.85753 -0.0226
H 0.65871 -2.10861 -2.21232 0.0234
H -0.36985 2.43162 0.18918 0.0463
H -1.65611 1.53387 0.68177 0.0323
H -1.23949 1.50153 -1.08584 0.0626
```

Gap between HOMO and LUMO   7.92 eV
2S+1   1
Relative energy (zero: lowest compared OMol25 entry of this formula, charge and spin)   117.8 kJ/mol
SMILES   C/C(=C(/Br)CBr)S(=O)(=O)[O-]
Total charge   -1

=====

[2]
Formula: C4H5BrO
Source: OMol25
Level of theory: wB97M-V/def2-TZVPD

XYZ file:
```
11
Properties=species:S:1:pos:R:3:lowdin_charge:R:1
C 0.87482 1.87908 0.00804 -0.2926
C 1.50775 1.36588 -0.98942 0.0071
C -1.11906 -1.08825 0.57966 -0.1123
C -2.00862 -0.17689 0.91475 -0.6808
O 0.29092 2.31646 0.91229 0.1586
Br -3.46947 0.29036 -0.18864 0.6506
H 1.33781 0.34274 -1.26116 0.0560
H 2.21485 1.92367 -1.57030 0.0580
H -0.30480 -1.32596 1.24384 0.0602
H -1.17488 -1.63892 -0.34539 0.0533
H -1.98500 0.38273 1.83487 0.0418
```

Gap between HOMO and LUMO   10.30 eV
2S+1   1
Relative energy (zero: lowest compared OMol25 entry of this formula, charge and spin)   87.1 kJ/mol
SMILES   C=C=O.C=CBr

=====

[3]
Formula: C4H5BrO2
Source: OMol25
Level of theory: wB97M-V/def2-TZVPD

XYZ file:
```
12
Properties=species:S:1:pos:R:3:lowdin_charge:R:1
C -1.91753 -1.30158 0.18170 -0.3119
C -1.43010 -0.19391 0.65666 -0.5901
C 0.92703 -0.43067 -0.45712 -0.3934
C 1.43135 0.93977 -0.12702 -0.0677
O -2.30373 -2.26420 -0.32690 0.2096
O 1.16448 -1.42455 0.17499 0.0269
Br -2.14019 1.42990 -0.05369 0.7146
H -0.87265 -0.09493 1.56838 0.0761
H 0.39080 -0.48391 -1.42549 0.1235
H 0.73185 1.71143 -0.43667 0.0368
H 2.35636 1.08410 -0.68900 0.0883
H 1.66233 1.02856 0.93418 0.0874
```

Gap between HOMO and LUMO   8.93 eV
2S+1   1
Relative energy (zero: lowest compared OMol25 entry of this formula, charge and spin)   117.8 kJ/mol
SMILES   O=C=CBr.CC=O

=====

[4]
Formula: C4H5BrO2
Source: OMol25
Level of theory: wB97M-V/def2-TZVPD

XYZ file:
```
12
Properties=species:S:1:pos:R:3:lowdin_charge:R:1
C -1.90577 2.07008 0.08143 -0.0734
C -0.90034 0.05200 0.00941 -0.5098
C 0.45919 -0.16640 -0.03193 -0.4683
C 1.16473 -1.55953 0.01127 -0.0289
O -2.81742 2.16827 0.79542 0.0796
O 1.25729 0.88630 -0.37944 0.0026
Br -2.11356 -1.19791 0.78716 0.6373
H -1.19932 2.77774 -0.45537 0.1189
H 2.11492 -1.58679 0.52136 0.0808
H 1.47839 -1.83888 -0.94595 0.0608
H 0.38856 -2.15410 0.36088 0.0047
H 2.07333 0.54923 -0.75423 0.0956
```

Gap between HOMO and LUMO   8.63 eV
2S+1   1
Relative energy (zero: lowest compared OMol25 entry of this formula, charge and spin)   317.7 kJ/mol

=====

[5]
Formula: C4H5BrSi
Source: OMol25
Level of theory: wB97M-V/def2-TZVPD

XYZ file:
```
11
Properties=species:S:1:pos:R:3:lowdin_charge:R:1
C 0.32815 -1.01884 -0.83159 -0.2439
C -0.91367 -0.37984 -0.79610 -0.1902
C 1.23321 -0.47269 0.17547 -0.3168
C -1.19244 0.75747 0.29968 -0.1804
Si 0.98152 1.28671 0.45750 0.4227
Br 1.37558 2.49696 2.40480 0.1263
H 0.70610 -1.81163 -1.49170 0.0983
H -1.60286 -0.70983 -1.64881 0.1147
H 2.22016 -1.00527 0.13422 0.0521
H -0.98373 0.02482 1.30708 0.1332
H -2.15202 0.83213 -0.01055 -0.0160
```

Gap between HOMO and LUMO (alpha / beta)   7.03 / 7.03 eV
2S+1   1
Relative energy (zero: lowest compared OMol25 entry of this formula, charge and spin)   309.9 kJ/mol
SMILES   Br[Si]1=CC=CC1

=====

[6]
Formula: C4H5Cl2FS
Source: OMol25
Level of theory: wB97M-V/def2-TZVPD

XYZ file:
```
13
Properties=species:S:1:pos:R:3:lowdin_charge:R:1
C 0.08829 -1.53266 0.45274 -0.1614
C 0.88647 -0.49097 -0.47364 -0.8770
>>>

-- Worked solution --
[1]
Formula: C4H5Br2O3S
Source: OMol25
Level of theory: wB97M-V/def2-TZVPD

XYZ file:
```
15
Properties=species:S:1:pos:R:3:lowdin_charge:R:1
C 1.10537 -1.12353 -2.04522 -0.6477
C -0.24143 0.27872 0.26253 -0.3099
C 0.45699 -0.61590 -0.53020 -0.5385
C -0.92836 1.61764 -0.05210 -0.0729
O 1.02538 -0.35862 2.50372 -0.4753
O -0.81370 1.20872 2.61884 -0.3421
O -1.34544 -1.15012 2.31559 -0.4006
S -0.38328 -0.03974 2.15323 0.3636
Br 0.98817 -2.23929 0.46246 0.7177
Br 0.64126 0.17588 -3.40410 0.5636
H 2.10177 -1.11216 -1.85753 -0.0226
H 0.65871 -2.10861 -2.21232 0.0234
H -0.36985 2.43162 0.18918 0.0463
H -1.65611 1.53387 0.68177 0.0323
H -1.23949 1.50153 -1.08584 0.0626
```

Gap between HOMO and LUMO   7.92 eV
2S+1   1
Relative energy (zero: lowest compared OMol25 entry of this formula, charge and spin)   117.8 kJ/mol
SMILES   C/C(=C(/Br)CBr)S(=O)(=O)[O-]
Total charge   -1

=====

[2]
Formula: C4H5BrO
Source: OMol25
Level of theory: wB97M-V/def2-TZVPD

XYZ file:
```
11
Properties=species:S:1:pos:R:3:lowdin_charge:R:1
C 0.87482 1.87908 0.00804 -0.2926
C 1.50775 1.36588 -0.98942 0.0071
C -1.11906 -1.08825 0.57966 -0.1123
C -2.00862 -0.17689 0.91475 -0.6808
O 0.29092 2.31646 0.91229 0.1586
Br -3.46947 0.29036 -0.18864 0.6506
H 1.33781 0.34274 -1.26116 0.0560
H 2.21485 1.92367 -1.57030 0.0580
H -0.30480 -1.32596 1.24384 0.0602
H -1.17488 -1.63892 -0.34539 0.0533
H -1.98500 0.38273 1.83487 0.0418
```

Gap between HOMO and LUMO   10.30 eV
2S+1   1
Relative energy (zero: lowest compared OMol25 entry of this formula, charge and spin)   87.1 kJ/mol
SMILES   C=C=O.C=CBr

=====

[3]
Formula: C4H5BrO2
Source: OMol25
Level of theory: wB97M-V/def2-TZVPD

XYZ file:
```
12
Properties=species:S:1:pos:R:3:lowdin_charge:R:1
C -1.91753 -1.30158 0.18170 -0.3119
C -1.43010 -0.19391 0.65666 -0.5901
C 0.92703 -0.43067 -0.45712 -0.3934
C 1.43135 0.93977 -0.12702 -0.0677
O -2.30373 -2.26420 -0.32690 0.2096
O 1.16448 -1.42455 0.17499 0.0269
Br -2.14019 1.42990 -0.05369 0.7146
H -0.87265 -0.09493 1.56838 0.0761
H 0.39080 -0.48391 -1.42549 0.1235
H 0.73185 1.71143 -0.43667 0.0368
H 2.35636 1.08410 -0.68900 0.0883
H 1.66233 1.02856 0.93418 0.0874
```

Gap between HOMO and LUMO   8.93 eV
2S+1   1
Relative energy (zero: lowest compared OMol25 entry of this formula, charge and spin)   117.8 kJ/mol
SMILES   O=C=CBr.CC=O

=====

[4]
Formula: C4H5BrO2
Source: OMol25
Level of theory: wB97M-V/def2-TZVPD

XYZ file:
```
12
Properties=species:S:1:pos:R:3:lowdin_charge:R:1
C -1.90577 2.07008 0.08143 -0.0734
C -0.90034 0.05200 0.00941 -0.5098
C 0.45919 -0.16640 -0.03193 -0.4683
C 1.16473 -1.55953 0.01127 -0.0289
O -2.81742 2.16827 0.79542 0.0796
O 1.25729 0.88630 -0.37944 0.0026
Br -2.11356 -1.19791 0.78716 0.6373
H -1.19932 2.77774 -0.45537 0.1189
H 2.11492 -1.58679 0.52136 0.0808
H 1.47839 -1.83888 -0.94595 0.0608
H 0.38856 -2.15410 0.36088 0.0047
H 2.07333 0.54923 -0.75423 0.0956
```

Gap between HOMO and LUMO   8.63 eV
2S+1   1
Relative energy (zero: lowest compared OMol25 entry of this formula, charge and spin)   317.7 kJ/mol

=====

[5]
Formula: C4H5BrSi
Source: OMol25
Level of theory: wB97M-V/def2-TZVPD

XYZ file:
```
11
Properties=species:S:1:pos:R:3:lowdin_charge:R:1
C 0.32815 -1.01884 -0.83159 -0.2439
C -0.91367 -0.37984 -0.79610 -0.1902
C 1.23321 -0.47269 0.17547 -0.3168
C -1.19244 0.75747 0.29968 -0.1804
Si 0.98152 1.28671 0.45750 0.4227
Br 1.37558 2.49696 2.40480 0.1263
H 0.70610 -1.81163 -1.49170 0.0983
H -1.60286 -0.70983 -1.64881 0.1147
H 2.22016 -1.00527 0.13422 0.0521
H -0.98373 0.02482 1.30708 0.1332
H -2.15202 0.83213 -0.01055 -0.0160
```

Gap between HOMO and LUMO (alpha / beta)   7.03 / 7.03 eV
2S+1   1
Relative energy (zero: lowest compared OMol25 entry of this formula, charge and spin)   309.9 kJ/mol
SMILES   Br[Si]1=CC=CC1

=====

[6]
Formula: C4H5Cl2FS
Source: OMol25
Level of theory: wB97M-V/def2-TZVPD

XYZ file:
```
13
Properties=species:S:1:pos:R:3:lowdin_charge:R:1
C 0.08829 -1.53266 0.45274 -0.1614
C 0.88647 -0.49097 -0.47364 -0.8770